

Zeta Beta Tau Fraternity is governed by a Constitution and Code. These governing documents outline the function of the Fraternity and set the standards for brothers. The Fraternity also has adopted supplementary policies that uphold the tenets of our Mission, Credo and Ritual.

ZBT Position Statements

ZBT Policies

Risk Prevention


North-American Interfraternity Conference Guidelines

Brotherhood Quality Standards

Having reasonable standards for each brother is critical for the survival and success of any fraternity. Chapters and prospective chapters should review and discuss these standards each semester. Brotherhood Quality Standards ensure that brothers earn the privilege to be ZBTs. Brothers also know what they can expect of one another, thus promoting unity.  These Standards are included in the Code. Download and save the Brotherhood Quality Standards (PDF).

I.  Quality Brothers abide by the law. Each Brother must abide by all applicable federal, state, and local laws and regulations.

II. Quality Brothers are responsible men, who handle their own affairs; they do not ask or permit their parents or guardians to handle their affairs for them.

III. Quality Brothers do not discriminate against, abuse, or mistreat any person on the basis of sexual identity, race, religion, national origin, or sexual orientation. Quality Brothers respect the dignity of all people.

IV. Quality Brothers abide by the tenets of the Fraternity, including the Ritual and the Credo. Every Brother must attend each Ritual performed by the Chapter or Prospective Chapter (Initiation, College of Honors, Graduation), unless excused at least 48 hours in advance by established Chapter procedure.

V. Quality Brothers practice academic integrity. Quality Brothers must be in good standing with their college or university. Brothers under a 2.7 on a 4.0 scale must obtain on-campus academic assistance.

IVI. Quality Brothers do not physically, mentally, psychologically or sexually abuse or haze any human being. Brothers found to have been involved in hazing are subject to immediate expulsion from the Fraternity. Other abusive behavior (toward Brothers or non-Brothers) is a violation of the Ritual and Credo, and subject to severe disciplinary action, up to and including expulsion.

VII. Quality Brothers do not put other Brothers or other people in harm’s way. Quality Brothers of housed Chapters provide at least two hours per month of work to maintain, clean, and repair the Chapter house. Quality Brothers attend an annual risk management seminar to learn how to keep ZBT a safe place. Every Brother is responsible for ensuring safe conditions at all ZBT related events and functions.

VIII. Quality Brothers do not tolerate the abuse of property.

IX. Quality Brothers pay their semester dues prior to the start of the academic period, or according to a payment plan agreed to (in advance and in writing) by the Chapter Finance Director.

X. Quality Brothers neither use nor support the use of illegal drugs. Quality Brothers neither misuse nor support the misuse of alcohol. Use, possession, or distribution of illegal drugs on Chapter or Prospective Chapter property or at any event associated with the Fraternity is grounds for immediate expulsion. Quality Brothers must comply with all local and state alcohol laws.

XI. Quality Brothers contribute a minimum of one hour per week for general Chapter work, as assigned and announced by Chapter officers, unless temporarily excused by Chapter officers. Missed hours must be made up within the same semester.

XII. Quality Brothers attend and/or participate in:

  • All requirements as described above
  • All regular Chapter or Prospective Chapter meetings
  • All events deemed as mandatory or emergency by the Chapter or Prospective Chapter President or Executive Committee
  • At least one Chapter or Prospective Chapter committee
  • At least one non-Chapter or Prospective Chapter campus activity (or part-time job)
  • All mandatory education sessions announced at least two weeks in advance

XIII. Quality Brothers abide by these standards and will confront those who violate them. Brothers who are found to be aware of violations of these standards and who did not confront the violator are subject to the same sanction as the offending Brother.

### Attached: calculated molecules
┌──
Below is a molecular structure, C8H10, with properties calculated with ωB97M-V/def2-TZVPD.

```
18
Properties=species:S:1:pos:R:3:lowdin_charge:R:1
C 0.49594 -2.51470 -0.19674 -0.193
C 1.08654 -1.22471 -0.67126 -0.253
C 0.26475 0.06347 -0.18377 -0.230
C 0.54160 1.26817 -0.81533 -0.043
C -0.15301 2.41626 -0.46969 -0.038
C -1.09271 2.29083 0.55348 -0.120
C -1.40705 1.14875 1.15172 -0.109
C -0.71256 -0.07055 0.77691 -0.041
H -0.62154 -2.75542 -0.40785 0.087
H 0.57142 -2.78752 0.93881 0.079
H 1.31977 -3.43349 -0.73274 0.148
H 1.08633 -1.08506 -1.74994 0.090
H 2.23480 -1.10049 -0.36910 0.148
H 1.14294 1.41547 -1.64387 0.091
H 0.05101 3.31676 -0.72397 0.041
H -1.67053 2.97175 1.06636 0.080
H -2.02634 1.09217 2.07658 0.114
H -1.11135 -1.01169 1.40041 0.148
```

## Properties
spin multiplicity = 1
energy relative to the best compared isomer or geometry (same formula, charge and spin) = 2.714 eV
gap between HOMO and LUMO = 10.257 eV
E_HOMO = -9.20 eV
LUMO energy = 1.06 eV


Record 1
A 3-piece molecular cluster, C3H4Cl3N overall in a non-equilibrium geometry. Source: the Open Molecules 2025 dataset; level of theory: wB97M-V/def2-TZVPD.

Each line ends with the natural charge from an NBO analysis.
Atoms and positions in Å:
C 1.26 -0.37 -0.03  0.35
C 2.43 0.45 0.13  -0.73
C -2.27 0.66 0.31  -0.11
N 0.42 -1.13 -0.22  -0.38
Cl -2.94 1.24 -1.08  0.06
Cl -3.34 0.66 1.69  -0.01
Cl -2.46 -1.78 -0.69  -0.27
H 2.13 1.32 0.89  0.26
H 3.27 0.00 0.65  0.27
H 2.71 0.77 -0.85  0.26
H -1.21 -1.81 -0.79  0.29

The energy relative to the best compared isomer or geometry (same formula, charge and spin) is 0.000 eV. The molar mass is 160.43 g mol⁻¹. Its LUMO energy (spin up / spin down) is 0.0182 / -0.0521 Ha. As for the spin multiplicity: 3. The expectation value of S² is 2.01. Its HOMO energy (spin up / spin down) is -7.60 / -10.54 eV. The gap between HOMO and LUMO (spin up / spin down) comes out at 8.091 / 9.124 eV. The value obtained for the energy is -1551.86981 hartree.

=====

Record 2
C3H4Cl3O4S as an isolated structure in a non-equilibrium geometry. Source: the Open Molecules 2025 dataset; level of theory: wB97M-V/def2-TZVPD.

Each line ends with the natural charge from an NBO analysis.
Atoms and positions in Å:
C -1.86 -0.17 0.72  -0.46
C 1.46 -1.12 -1.15  0.20
C -1.38 0.91 -0.22  -0.30
O 1.76 -0.69 1.63  -0.96
O 3.62 -0.12 0.15  -0.94
O 1.42 1.05 -0.17  -0.98
O 2.10 -1.08 -2.14  -0.49
S 2.22 -0.25 0.35  2.25
Cl -1.70 -1.78 0.03  -0.07
Cl -1.49 2.47 0.78  -0.15
Cl -2.72 1.26 -1.50  -0.15
H -1.22 0.05 1.61  0.25
H -2.81 -0.15 1.14  0.20
H 0.45 -1.34 -1.02  0.16
H 0.15 0.96 -0.22  0.45

The energy relative to the best compared isomer or geometry (same formula, charge and spin) is 1.385 eV. The molar mass is 242.49 g mol⁻¹. Its LUMO energy is 0.1145 Ha. Its HOMO energy is -5.66 eV. The gap between HOMO and LUMO comes out at 8.776 eV. The value obtained for the energy is -2196.43674 hartree. The net charge is -1.

=====

Record 3
└──

Submit a question about or issue with Zeta Beta Tau’s governance policies to ZBT International Headquarters.